What does she do all day long?
Dear Office Politics,
I work in a small group of four people—one manager, two professionals, and myself. My position is a cross between professional and support duties. The manager and myself are assigned to multiple programs. The two professionals belong to one program. These programs serve a tremendous amount of external clients (over 7,000). I can never keep up with my professional duties much less providing adequate office manager functions. My manager understands. He pitches in when he can but often asks the two professionals to assist me with the professional work in the program.
Recently one professional revealed that the other professional has been making negative remarks about me, comments such as “what does she do all day long?” Normally I wouldn’t put much stock into such hearsay, except the one professional is known to be critical, brusque and controlling. (Fortunately, she also has good qualities!)
Another piece to the picture is that this critical professional applied previously for the manager’s position, but was not hired. She did not compete against the current manager for the job. She was hired at a later point into the lower position she holds now. She often criticizes the current manager. I suspect she is bitter about not having been chosen as manager, though she denies it.
Now she’s applied for a position above my manager. She is well qualified and has a good chance at making it. She is a good employee—knowledgeable and hardworking. I am also skilled, knowledgeable and hard-working though (18 years experience with good reviews). Regardless of where she lands, I’m wary of someone spewing negative comments like this. If she is promoted, I don’t want her critical ‘misperceptions’ coming out at the new place and poisoning others. Should I say something to her? If so, what and how to say it (obviously, calmly, professionally, with respect and one-on-one)? She is definitely someone who is into hierarchy and control and tends to be someone who keeps pushing unless you assert a boundary with her.
Any thoughts, suggestions, readings I would much appreciate.
Unjustly Accused
Dear Unjustly Accused,
First, I very much appreciate your professional maturity in being able to recognize the good points of the person who’s been making negative comments about you. That can be a difficult thing to do (we tend to demonize those who hurt or upset us, making them 100% bad in our minds). Your objectivity is a great starting point for resolving this issue.
Let’s begin by assuming that her criticism of you has very little to do with you. It sounds as though this is simply a habit of hers (you say she criticizes your boss in much the same way), and she may be largely unconscious of doing it.
You also say she is hardworking and knowledgeable – so I assume she values those traits in others.
Finally, let’s assume that she really doesn’t know what you do all day. It may be that your role is actually unclear to her, and she’s frustrated because she has expectations about how you’re going to support her that may not be realistic, given your overall responsibilities. And if she has more clarity about your role, she might feel more positive about your contributions (and be more realistic in her expectations.)
So, I’d suggest that you ask for a meeting with both the professionals. You can tee it up by saying that you’ve realized that, since your role is such a mixture of support and professional duties, and that it changes according to current circumstances, it may not be entirely clear to them how to work with you most effectively.
Then use the meeting as a real roll-up-your-sleeves-and-work-together opportunity. First, clarify your role, and how your time tends to be used on a day-to-day basis. Then ask them if there are ways you could use your time differently to support them better, or ways the three of you could work together to get the work done more efficiently. Spend the rest of the meeting looking for ways to understand each other’s responsibilities and team together in the most productive way.
Your colleague will not only get a much clearer sense of what you actually do, but she will leave the meeting with the sense that you’re committed to working with her in a way that both supports her and her peer, and best accomplishes the work of the department. I think this may be your best shot at reducing her criticism, and solidifying her as an ally.
Hope this is helpful – let us know how it works! Thanks for writing to OfficePolitics.com.
Erika Andersen, Author
Erika Andersen is the author of BEING STRATEGIC (May 2009). Talk of strategy abounds in business — but moving from thinking strategically to acting strategically is an enormous leap. BEING STRATEGIC is a roadmap for consistently making choices that best move you toward your desired future. What’s more, it explains why being strategic is worth the time and effort required, what’s involved, and how to do it. The book explains the core skills and practices needed at each point of being strategic and provides simple models, real-life examples and self-directed activities for learning and applying them.
Erika Andersen is founder of Proteus International, where she has served as consultant and adviser to CEO’s and top executives around the world. She is the also the author of Growing Great Employees, published by Portfolio in 2006.
4 Answers to “What does she do all day long?”
Question: are you ‘doing things right’ or ‘doing the right things’?
Perhaps you are comfortable with your office manager duties so are spending too much time on these duties to the detriment of your professional duties. Hence your professional colleagues frustration and question of what do you do all day. Be honest, which duties do you get motivated to do? The office manager duties (where you are your own boss) or the professional duties (where you are the junior in the team)?
Your colleagues are not seeing the work you are doing whilst you have your office manager hat on – hence the criticism. They only see output from you when you have your professional duties hat on (which may not be often enough).
Its easy to fall into the trap of working efficiently but not effectively. Thus, as an office manager you are being very efficient but it means you are not being effective on your professional duties.
By Ranjit on Feb 15, 2009
Been there done that. Nevertheless got offered a different job witih more independence. Then management had a real look at what was going on, namely that I previously spent most of my time waiting for a micromanaging supervisor to stop day trading using office resources and get back to me about work submitted for supervisor approval. I’ve seen lots of people eventually reveal their faults in a way that couldn’t be ignored. I’m sure this person’s time is coming.
• Here the page breaks off for materials data:
<<<
[1]
# ScNb2ZnN
Theoretical XRD peak list, Cu Kα, 1.54184 Å. Input: the PBE geometry in Alexandria.
Kinematic intensities with the Lorentz-polarization factor, no thermal factor.

Largest 10 diffraction maxima, in order of falling intensity, 2θ = 15–90°:
2theta  Rel. int.
36.22  100
42.71  37
60.52  25
73.96  23
40.77  21
71.25  13
76.89  12
61.99  11
20.06  11
47.62  4

Crystal structure
Cell lengths 4.2340, 4.2340, 4.4263 Å; angles 90.00, 90.00, 90.00 degrees
Atoms (fractional coordinates):
Sc 0.0000 0.0000 0.0000
Nb 0.0000 0.5000 0.5000
Nb 0.5000 0.0000 0.5000
Zn 0.5000 0.5000 0.0000
N 0.0000 0.0000 0.5000

[2]
# Pr2Cu7
Theoretical XRD peak list, Cu Kα, 1.54184 Å. Input: the PBE geometry in Alexandria.
Kinematic intensities with the Lorentz-polarization factor, no thermal factor.

Largest 10 diffraction maxima, in order of falling intensity, 2θ = 15–90°:
2theta  Rel. int.
40.60  100
34.20  43
30.84  35
39.78  34
32.75  27
65.59  23
43.23  23
72.05  21
44.29  13
87.89  12

Crystal structure
Cell lengths 12.9195, 12.9195, 12.9195 Å; angles 23.41, 23.41, 23.41 degrees
Atoms (fractional coordinates):
Pr 0.0507 0.0507 0.0507
Pr 0.1484 0.1484 0.1484
Pr 0.8516 0.8516 0.8516
Pr 0.9493 0.9493 0.9493
Cu 0.0000 0.5000 0.5000
Cu 0.1099 0.6070 0.6070
Cu 0.2788 0.2788 0.2788
Cu 0.3871 0.3871 0.3871
Cu 0.3930 0.3930 0.8901
Cu 0.3930 0.8901 0.3930
Cu 0.5000 0.0000 0.5000
Cu 0.5000 0.5000 0.0000
Cu 0.5000 0.5000 0.5000
Cu 0.6070 0.1099 0.6070
Cu 0.6070 0.6070 0.1099
Cu 0.6129 0.6129 0.6129
Cu 0.7212 0.7212 0.7212
Cu 0.8901 0.3930 0.3930

[3]
# Pm7Nd3Ho
Theoretical XRD peak list, Cu Kα, 1.54184 Å. Input: the PBE geometry in Alexandria.
Kinematic intensities with the Lorentz-polarization factor, no thermal factor.

Largest 10 diffraction maxima, in order of falling intensity, 2θ = 15–90°:
2theta  Rel. int.
32.03  100
29.94  41
43.93  26
54.48  22
24.70  19
31.45  18
31.33  15
27.83  13
39.18  11
61.29  10

Crystal structure
Cell lengths 8.5960, 8.5960, 8.5960 Å; angles 139.36, 97.11, 96.74 degrees
Atoms (fractional coordinates):
Pm 0.0000 0.0000 0.0000
Pm 0.0973 0.3020 0.7953
Pm 0.2911 0.7911 0.5000
Pm 0.4932 0.6980 0.7953
Pm 0.5068 0.3020 0.2047
Pm 0.7089 0.2089 0.5000
Pm 0.9027 0.6980 0.2047
Nd 0.2902 0.0000 0.2902
Nd 0.5000 0.5000 0.0000
Nd 0.7098 0.0000 0.7098
Ho 0.0000 0.5000 0.5000

[4]
# Re3Tc4
Theoretical XRD peak list, Cu Kα, 1.54184 Å. Input: the PBE geometry in Alexandria.
Kinematic intensities with the Lorentz-polarization factor, no thermal factor.

Largest 10 diffraction maxima, in order of falling intensity, 2θ = 15–90°:
2theta  Rel. int.
40.08  100
46.66  32
68.03  26
81.96  25
46.55  16
82.17  12
23.26  7
86.42  6
86.66  6
68.25  5

Crystal structure
Cell lengths 2.7483, 3.9019, 19.3037 Å; angles 90.00, 90.00, 90.00 degrees
Atoms (fractional coordinates):
Re 0.0000 0.0000 0.0000
Re 0.0000 0.0000 0.1430
Re 0.0000 0.0000 0.8570
Re 0.5000 0.5000 0.3570
Re 0.5000 0.5000 0.5000
Re 0.5000 0.5000 0.6430
Tc 0.0000 0.0000 0.2856
Tc 0.0000 0.0000 0.4285
>>>
By jojo on Mar 3, 2009
I think that it might be in your best interest to talk to this professional, maybe even with the company of the other two co-workers, seeing as one of them is aware of her actions and the other (the manager) is becoming a victim of her unkind words. If you meet with these people, but focus your attention on this woman as to let her know and make her aware of what it is that you do, she will obviously have a different view on the role that you take in the office. Because your office is so small, I don’t think it would be a good idea to ignore it, because there will always be that constant reminder of her ways.
It’s quite obvious that she is irritable about not having the manager’s position, and judging from the way you described her, both good and bad, she probably likes to be in control. As long as you kindly make her aware of her actions and how it makes you feel by saying it in a way that makes you comfortable, you could probably alleviate the tension that you are experiencing.
By Steve on Apr 7, 2009
My adive to the Unjustly Accused is to use the strategies and tactics aimed at building relationships, display loyalty, manage your impression, ask satisfied customers to contact your boss, be courteous-pleasant-and positive, ask advice, send thank-you notes to large number of people, and flatter others sensibly. I believe that the Unjustly Accused should focus on being courteous, pleasant, and positive to the person making the negative comments. I was told that if someone does not like you, then try your best to find out what that person likes, or wants in life and talk to them about it, try and be their friend.
By Dillon on Feb 17, 2014